31 December – Wuhan, in the Hubei province of China, informs its regional World Health Organization (WHO) office of a pneumonia outbreak, the cause of which is unknown. Whuan reports 27 cases and urges their public to stay indoors and wear face masks. Most of the cases are either vendors or patrons of the Huanan Seafood Market.                                                                                                                        


1 January - Huanan Seafood Market is closed in light of the pneumonia outbreak.

7 January- China reports that the pneumonia outbreak is caused by a new strain of coronavirus. The novel virus is named “2019-nCoV” and belongs to the coronavirus family, which includes Severe Acute Respiratory Syndrome (SARS) and the common cold.

11 January- China reports first death from the novel coronavirus; a 61 year old worker from the Huanan Seafood Market who did not respond to treatment and  died of heart failure on 9 January.

13 January- The first case of Covid-19 outside of China is reported in Thailand. It is a 61 year old woman from Wuhan who had travelled into the country.

17 January- China reports its second death in Wuhan.

20 January- A WHO report confirms Covid-19 cases in South Korea, Japan and Thailand, all of which originate from Wuhan. China confirms 278 cases.

21 January- The WHO confirms human-to-human transmission of Covid-19. An emergency committee is convened to determine whether this is a case for global public health concern.

23 January- China places the cities of Wuhan, Xiantao and Chibi in Hubei province under quarantine. This lockdown affects close to 56 million people. The WHO declares that Covid-19 is not a public health emergency of international concern, as there was no evidence of the virus spreading among humans outside of China.

24 January- Covid-19 cases in China surge to over 1000, with 41 deaths.

30 January- The WHO declares Covid-19 a global emergency, with 9000 cases confirmed across 18 countries.


2 February- First death reported outside of China in the Philippines; a Chinese man from Wuhan.

5 February- The WHO reaffirms there is “no known effective treatment” for the virus.

7 February- Hong-Kong puts prison sentences in place for any persons who breach the rules of the quarantine imposed by the country’s government to slow the spread of Covid-19.

9 February- China’s death-toll reaches 811, surpassing that of the SARS epidemic. A team of investigative experts from The WHO departs for China, made up of researchers from Canada, Germany, Japan, Nigeria, Republic of Korea, Russia, Singapore and the US.

11 February- China’s Covid-19 death toll reaches over 1000. WHO announces that the novel coronavirus would be named “Covid-19” as it was discovered in 2019.

14 February- Egypt becomes the first country in Africa to record a confirmed case of the virus, and France reports the first death from Covid-19 in Europe.

15 February- A speech by Chinese president Xi Jinping is published. The speech, from 3 February, suggests that the Chinese government was aware of the Coronavirus threat long before they alerted the public.

19 February- Iran reports two deaths from Covid-19 just hours after confirming the first cases of the virus in the country.

20 February- China records the lowest daily infection rate in the country since January. The total number of cases in the country stands at 74,576.

21 February- Italy reports the first case of Covid-19 transmitted locally in Lombardy, bringing the total number of cases in the country to six.

22 February- The first two deaths from Covid-19 are reported in Italy.

23 February- Italy confirms a third death. Local authorities shut down the Venice Carnival early and suspend sports events.

25 February- Iran’s deputy health minister confirms that he has contracted the virus. China’s daily infection rate plateaus, with 518 new infections reported.

26 February- Globally, Covid-19 has infected close  to 80,000 people with a death toll of near 3,000.

27 February- Italy’s infection rate spikes, reporting 650 cases with 17 deaths in total. The United States of America (USA) considers invoking the Defence Production Act. This would give USA President Donald Trump the power to expand production of key materials for national security.

29 February- Qatar confirms its first Covid-19 case; over the course of the past week, Covid-19 cases have been reported across multiple countries for the first time. These include Kuwait, Bahrain, Iraq, Oman, Norway, Romania, Greece, Georgia, Pakistan, Afghanistan, North Macedonia, Brazil, Estonia, Denmark, Northern Ireland and the Netherlands, Lithuania and Wales.

MARCH 2020:

3 March- Italy’s Covid-19 death toll reaches 77.

5 March- The first case of coronavirus is reported in South Africa. The patient is a man from KwaZulu-Natal who had travelled to Italy as a part of a group of 10 people.

6 March- As global Covid-19 cases hit 100,000 infections, President Donald Trump signs off on an $8.3 billion emergency spending fund

7 March- Iran’s recently elected MP Fatemeh Rahbar dies from the coronavirus, as the country becomes one of the worst hit in the world outside of China with 4,747 confirmed cases and 124 deaths.

8 March- Italy issues a lockdown of around 16 million people in the country’s Lombardy region, in an attempt to quarantine the outbreak. Confirmed Covid-19 cases in the country grow close to 6000 with over 230 deaths.

9 March- Iran releases close to 70,000 prisoners due to the outbreak, without making it clear when those released would return to jail.

10 March- Italy extends the lockdown imposed on Lombardy to the entire country. Iran’s cases spike by nearly 900 and China slowly begins to return to work and daily life.

11 March- The WHO declares the Covid-19 outbreak a pandemic. Qatar’s cases jump dramatically from 24 to 262 in a single day.

12 March-  Health Minister Zweli Mkhize confirms that South Africa’s number of confirmed Covid-19 cases stands at 19.

13 March- With Italy’s confirmed Covid-19 cases standing at more than 15,000 with over 1000 deaths, the WHO declares that Europe has become the new epicentre of the pandemic. The continent’s total reported cases and deaths surpass that of the rest of the world, including China.

Records of crystals that have nothing to do with the page:
[1]
Rb4SnTe5: computed X-ray powder pattern (Cu Kα (λ = 1.5418 Å)), based on a cell relaxed with PBE.
Peak positions follow from Bragg's law for the DFT cell and can differ from measured ones.

Principal peaks in the range 10 to 90 degrees two-theta, by angle:
11.02°, intensity 34
14.10°, intensity 21
23.61°, intensity 68
24.80°, intensity 100
30.77°, intensity 32
34.50°, intensity 75
35.35°, intensity 29
42.95°, intensity 23
46.23°, intensity 19
55.04°, intensity 17

Structure:
a b c (Å): 11.3544 11.3544 7.5365
angles (deg): 90.00 90.00 90.00
Space group I4 (No. 79)
Asymmetric unit:
Rb1 0.0824 0.7024 0.0000
Sn1 0.0000 0.0000 0.6141
Te1 0.0000 0.0000 0.9791
Te2 0.0723 0.7692 0.4972

[2]
Cu2Ag2Pd7: computed X-ray powder pattern (Cu Kα (λ = 1.5418 Å)), based on a cell relaxed with PBE.
Peak positions follow from Bragg's law for the DFT cell and can differ from measured ones.

Principal peaks in the range 10 to 90 degrees two-theta, by angle:
30.23°, intensity 12
33.55°, intensity 12
39.58°, intensity 23
40.31°, intensity 100
40.84°, intensity 91
57.77°, intensity 15
71.95°, intensity 12
73.64°, intensity 15
79.81°, intensity 18
85.85°, intensity 15

Structure:
a b c (Å): 4.4747 11.1253 6.9789
angles (deg): 90.00 90.00 90.00
Space group Imm2 (No. 44)
Asymmetric unit:
Cu1 0.0000 0.0000 0.0000
Cu2 0.0000 0.5000 0.1783
Ag1 0.0000 0.2127 0.1782
Pd1 0.0000 0.0000 0.3826
Pd2 0.0000 0.1377 0.7006
Pd3 0.0000 0.3656 0.8794
Pd4 0.0000 0.3697 0.4830

[3]
UGaRh6: computed X-ray powder pattern (Cu Kα (λ = 1.5418 Å)), based on a cell relaxed with PBE.
Peak positions follow from Bragg's law for the DFT cell and can differ from measured ones.

Principal peaks in the range 10 to 90 degrees two-theta, by angle:
15.93°, intensity 11
27.70°, intensity 7
39.63°, intensity 100
45.95°, intensity 16
46.16°, intensity 32
67.18°, intensity 21
67.34°, intensity 10
80.75°, intensity 13
81.06°, intensity 25
85.38°, intensity 11

Structure:
a b c (Å): 5.5622 5.5622 3.9500
angles (deg): 90.00 90.00 90.00
Space group P4/mmm (No. 123)
Asymmetric unit:
U1 0.0000 0.0000 0.0000
Ga1 0.5000 0.5000 0.0000
Rh1 0.0000 0.5000 0.0000
Rh2 0.2520 0.2520 0.5000


(1)
This entry pairs a crystal structure of YTmMg2 with its computed X-ray powder pattern. Radiation: Cu Ka. Structure: a GGA-PBE-relaxed structure.

Main lines, most intense first (2θ = 15–90°):
d (Å)	Position (°2θ)	I (rel.)
2.672	33.54	100.0
3.779	23.54	54.7
1.543	59.96	36.9
1.690	54.28	22.7
1.890	48.16	17.9
2.182	41.38	16.6
1.195	80.34	15.6
4.364	20.35	13.5
1.336	70.48	11.3
1.260	75.47	10.8

Structure:
Cell: 7.5583 7.5583 7.5583 Å, 90.00 90.00 90.00°
Space group Fm-3m (No. 225)
Inequivalent atoms, fractional coordinates:
Y: 0.0000 0.0000 0.0000 (multiplicity 4)
Tm: 0.0000 0.0000 0.5000 (multiplicity 4)
Mg: 0.2500 0.2500 0.2500 (multiplicity 8)

(2)
This entry pairs a crystal structure of CeGeAu with its computed X-ray powder pattern. Radiation: Cu Ka. Structure: a GGA-PBE-relaxed structure.

14 March- South Africa welcomes home 114 citizens repatriated from Wuhan, the epicentre of the outbreak. All citizens tested negative for the virus and were placed in quarantine for 21 days. A quarantine facility is set up at a lodge in Polokwane, Limpopo.

15 March- President Cyril Ramaphosa declares a National State of Disaster, invoking extraordinary emergency measures to curb the spread of the outbreak in South Africa. This includes a travel ban from high-risk countries, the closing of 35 land ports of entry and two of the country’s eight seaports, a ban on gatherings of more than 100 people and the consideration of a fiscal relief policy.

16 March- Somalia confirms its first case of Covid-19.

18 March- Australian Prime Minister Scott Morrison declares a “Human Biosecurity Emergency” for the first time in the country’s history. No new domestic cases were reported in China.

19 March- Italy surpasses China as the country with the highest number of Covid-19 related deaths. The death toll in the country stands at 3,405.

21 March- Europe remains the new epicentre of the outbreak. Cases in Germany rise by 2958 overnight, Spain’s death toll rises to 1002 and Italy reports 793 new deaths bringing the countries’ total death toll to 4825 amongst 53,578 cases. The European Union (EU) suspends rules on public deficits, allowing countries to inject funds into the economy while attempting to contain the pandemic.

23 March- President Cyril Ramaphosa announces that South Africa will go into a 21 day lockdown beginning on 27 March as the country’s number of confirmed cases is reported at 402. The unprecedented step imposed strict regulations and restrictions on the country for the first time in its 25 year democracy. No one in the country is allowed to leave their homes unless under strictly controlled measures to acquire essential products and services. The National Defence Force, alongside the police, is deployed to assist with implementing lockdown measures.

25 March- Spain’s death toll surpasses China, with 700 new reported deaths. In the USA, the Presidency and Senate leaders of both parties sign off on a $2 trillion measure to aid their straining healthcare system.

26 March- Kenya reports its first Covid-19 related death.

27 March- As South Africa’s first death due to Covid-19 is reported in Cape Town, the country begins its 21 day lockdown. The first death is a 48 year old woman who died at Medi-Clinic in Durbanville after complications from the virus due to a blood clot in her lung. She had no history of travel. The United Kingdom (UK) Prime Minister Boris Johnson tests positive for Covid-19.

29 March- The USA becomes the country with the highest number of infections in the world, with more than 124,000 reported cases.

30 March- President Trump extends federal guidelines on social distancing until 30 April,  warning that close to 200,000 people could die from Covid-19 in the USA. South Africa announces extended testing practices, including door-to-door testing and relaxing restrictions on who has access to tests. 

31 March- Renowned South African HIV-AIDS researcher, Professor Gita Ramjee, dies due to Covid-19 complications in KwaZulu-Natal. The USA’s death toll surpasses that of China. Italy reports its slowest rise in daily infections in two weeks.

APRIL 2020:

1 April- South Africa commences mass testing, particularly in townships and rural areas. Facilities such as drive through testing centres are set up. It is predicted that by the end of April 2020, the country would be conducted around 30,000 tests a day. The United Nations Secretary General, Antonia Guterres, calls Covid-19 the world’s “worst crisis” since World War II. China announces that it will release data which would make the number of asymptomatic cases public.

2 April- The number of cases globally surpasses 1 million, with over 50,000 deaths.

7 April- A team of South African researchers from the National Institute for Communicable Diseases (NICD) and the University of the Western Cape's South African National Bioinformatics Institute (Sanbi) succeed in sequencing the genome of a locally sourced sample of the Covid-19 virus. They are led by Dr Mushal Allam. The vital information is added to an international database to assist global efforts towards a cure.

9 April- President Ramaphosa addresses the nation to announce that South Africa’s 21 day lockdown will be extended by a further two weeks, based on conclusive research and scientific advice. In his address, the President states, “If we end the lockdown too soon, or too abruptly, we risk a massive and uncontrollable resurgence of the disease.”

10 April- South Africa’s Covid-19 cases exceed 2000, and drastic testing measures continue. Health Minister Zweli Mkhize announces; “As of today, the total number of tests conducted is 73,028. The number of confirmed positive cases is 2,003. Total number of deaths has risen to 24.” The number of cases in South Africa appears to be rising slower than predicted.

11 April- The USA surpasses Italy’s death toll with a total of 20,071 recorded deaths, with cases of the virus reaching over 519,000 in the country.

13 April- South African Health Minister Zweli Mkhize addresses the nation with Covid-19 related updates. He reports that the total number of Covid-19 cases in the country stands at 2,272. An increase in door-to-door testing is announced for the coming week.

15 April- A total of 90,515 Covid-19 tests have been conducted in South Africa, with the total number of Covid-19 cases rising to 2,506, with Gauteng and the Western Cape reporting the highest case numbers. 7 new deaths due to Covid-9 are reported in the country.

16 April- The USA withdraws their funding of The WHO.

18 April- South Africa’s Covid-19 cases surge past 3000, with two more reported deaths related to the virus.

21 April- President Ramaphosa addresses the nation, announcing that R500bn will be injected into economic relief funds to support those who have been economically impaired due to the Covid-19 lockdown. The total number of confirmed Covid-19 cases stand at 3,465 with 58 deaths.

23 April- The Western Cape becomes the province with the highest number of confirmed Covid-19 cases in South Africa, with 1280 confirmed cases. President Ramaphosa announces that South Africa will undergo a gradual risk-assessed phasing out of its lockdown in stages in order to reopen the country’s economy. The current lockdown is identified as Stage 5, and the president announces that from Friday 1 May, the country will move into Stage 4 of its lockdown, allowing some business and recreational activities to resume.

29 April- The South African Social Security Agency (SASSA) announces a Covid-19 relief fund that will allow monthly grants of R350 to those who qualify from May-October. President Ramaphosa extends a national ban on the sale of tobacco products. The sale of these products was banned during the country’s stage 5 lockdown, and it had been announced that sales would resume once the country entered stage 4 of it’s lockdown.

30 April- South Africa records its highest number of confirmed Covid-19 cases in a 24 hour cycle to date, with 353 new cases reported. The total number of cases in the country stands at 5350.

MAY 2020:

1 May- South Africa enters Stage 4 of its national lockdown. Strict measures are enforced; outdoor exercise is only permitted between 06:00 and 09:00, food and service deliveries operate between 05:00 and 19:00 and a nationwide curfew is put in place, forcing people to stay in their homes from 20:00 to 05:00.

3 May- Employment and Labour Minister Thulas Nxesi hosts a media briefing to discuss the country's back-to-work readiness and workplace protocol.

4 May-  An estimated 1.5 million South Africans return to work, as some industries reopen under Level 4 lockdown.

  • Bloomberg. This is what South Africa’s coronavirus testing looks like at ground level, Business Tech SA, April 11 2020. Available:
  • Chow, Denise & Muccari, Robin. Coronavirus Timeline: Tracking the critical moments of Covid-19, NBC News, April 09 2020. Available:
  • Du Toit, Pieter. State of war: Ramaphosa takes command of Covid-19 response as national disaster is declared, News24, March 16 2020. Available:
  • Ibrahim, Zakiyah. SA scientists make key coronavirus discovery- the lead researcher tells us more, Health24, April 08 2020. Available:
  • Karrim, Azarrah. Coronavirus national lockdown 101: What you need to know, News24, March 24 2020. Available:
  • Naidoo, Yasantha. Covid-19 claims life of stellar SA medical scientist Prof Gita Ramjee, Times Live, April 1 2020. Available:
  • Savides, Matthew. SA lockdown extended by two more weeks, Sunday Times, April 09 2020. Available:
  • Savides Matthew. Six new Covid-19 deaths as cases climb above 2000, Sunday Times, April 10 2020. Available:
  • World Health Organisation. Novel Coronavirus (2019-nCoV) Situation Report 1, January 21 2020. Available:
  • Various. Timeline: How the new coronavirus spread, Aljazeera, April 13 2020. Available: